Exercise:
It remains to search the entries further down for the word "LUMO" and reproduce each line that has it.
Given:
-- begin --
Entry 1:
C30H29BN6O4S2W as an isolated structure, computed with ωB97M-V/def2-TZVPD.

```
73
Properties=species:S:1:pos:R:3:forces:R:3
W 0.32381 0.05098 -0.08576 0.09 0.33 -0.06
O -1.09709 1.22517 -0.94643 0.17 -0.30 0.10
C -2.15311 0.96593 -1.68642 -0.09 0.02 -0.04
C -2.51921 1.85631 -2.70730 0.02 -0.01 0.02
C -3.65016 1.62268 -3.45779 0.00 0.02 -0.02
C -4.46467 0.51066 -3.22008 -0.02 -0.03 0.01
C -4.12381 -0.36247 -2.21339 0.07 0.05 0.01
C -2.96769 -0.15397 -1.44454 0.01 0.10 -0.07
C -2.64890 -1.06711 -0.38971 0.11 -0.03 0.08
N -1.55908 -1.06635 0.30067 0.03 0.04 -0.04
N -1.50162 -2.10246 1.23313 0.00 0.03 -0.01
C -0.35411 -2.08258 1.82310 0.10 0.11 -0.02
O 0.54803 -1.17357 1.58298 0.03 -0.08 -0.38
C -0.00788 -3.13158 2.80885 0.00 0.00 0.07
C 1.28088 -3.17120 3.33370 -0.03 0.00 -0.02
C 1.62776 -4.15509 4.24706 0.01 -0.03 0.01
C 0.69118 -5.09952 4.63972 -0.01 -0.02 0.02
C -0.59498 -5.06257 4.11504 0.00 -0.01 0.00
C -0.94618 -4.08428 3.20094 0.04 0.04 0.01
H -1.88810 2.71781 -2.88006 0.00 0.00 0.00
H -3.91516 2.31669 -4.24583 0.01 0.01 0.00
H -5.35198 0.34656 -3.81568 0.00 -0.01 0.00
H -4.74308 -1.22606 -1.99991 -0.01 -0.01 0.00
H -3.37275 -1.84258 -0.15360 0.04 -0.03 0.05
H 2.00400 -2.43487 3.00773 -0.01 0.01 0.00
H 2.63172 -4.18866 4.65045 0.00 0.01 0.00
H 0.96155 -5.86724 5.35338 0.00 0.00 0.00
H -1.32538 -5.80022 4.42090 0.00 0.00 0.00
H -1.94212 -4.04284 2.78295 -0.01 0.00 -0.01
C 1.07816 -3.44140 -2.70197 0.03 0.02 0.05
C 1.38991 -2.40383 -1.65758 -0.18 0.03 0.04
O 0.46388 -1.60287 -1.40707 0.13 -0.18 -0.06
C 2.67119 -2.38417 -0.99625 -0.03 0.04 0.05
C 3.56460 -3.46379 -1.20546 -0.02 0.04 0.00
C 4.76967 -3.54267 -0.56558 0.00 0.00 0.00
C 5.12883 -2.51739 0.32605 0.03 0.00 0.01
C 4.30347 -1.44963 0.54239 0.00 0.08 -0.04
C 3.05419 -1.32951 -0.11788 0.04 -0.04 0.08
O 2.37207 -0.24937 0.11386 -0.43 -0.25 0.10
H 0.11152 -3.21312 -3.14085 -0.01 0.01 0.00
H 1.03955 -4.43166 -2.24498 -0.01 0.00 -0.01
H 1.84514 -3.46114 -3.47632 -0.01 -0.01 -0.01
H 3.27629 -4.25980 -1.87784 -0.01 0.00 0.00
H 5.43020 -4.38272 -0.72713 -0.01 -0.02 -0.02
H 6.07564 -2.57537 0.84944 0.00 0.02 0.01
H 4.57230 -0.64609 1.21611 0.01 0.00 0.02
C 1.40945 0.72429 4.13211 -0.01 -0.01 0.01
N 2.36763 1.28067 3.19325 0.02 -0.01 -0.09
C 3.72632 1.36415 3.38633 0.05 0.03 0.00
C 4.22624 2.01029 2.30655 0.03 0.01 0.12
N 3.18735 2.32390 1.46511 -0.01 -0.08 -0.02
B 3.39252 3.08349 0.10161 -0.05 -0.03 -0.02
N 3.82935 2.04431 -0.99486 0.05 0.08 -0.13
C 5.13839 1.68215 -1.20707 0.05 -0.06 -0.07
C 5.17989 0.77939 -2.21348 0.02 -0.03 0.08
N 3.87542 0.58259 -2.60800 0.03 0.14 -0.03
C 3.44305 -0.28361 -3.68399 -0.02 0.00 -0.07
C 3.06640 1.37613 -1.86850 -0.10 -0.17 0.12
S 1.35461 1.44787 -2.04367 -0.10 0.00 0.07
C 2.05847 1.85834 2.01331 -0.08 0.10 0.00
S 0.44227 2.01327 1.40818 -0.08 0.03 0.09
H 1.95910 0.17141 4.89062 0.00 -0.01 0.00
H 0.73570 0.05729 3.60373 -0.02 -0.02 -0.01
H 0.83809 1.52317 4.60246 -0.01 -0.01 0.00
H 4.19713 0.98192 4.27411 0.02 -0.01 -0.01
H 5.23473 2.30587 2.07984 0.01 -0.01 0.00
H 4.33891 3.81280 0.26239 0.05 0.05 0.02
H 2.38691 3.63364 -0.22228 -0.03 0.01 -0.01
H 5.93606 2.11772 -0.63372 0.02 0.00 0.01
H 5.99878 0.26146 -2.67847 0.02 0.00 0.01
H 4.18395 -1.06914 -3.81838 0.00 -0.01 0.01
H 3.32942 0.28015 -4.60946 0.01 -0.01 -0.02
H 2.47993 -0.71769 -3.42591 0.02 0.05 -0.02
```
Forces are in eV/Å.

Its spin multiplicity is 3. As for the LUMO energy (spin up / spin down): -0.30 / -0.60 eV. For the energy above the lowest of the compared OMol25 structures with the same formula, charge and spin, the calculation gives 0.0 kcal per mole. Its net charge is 0. As for the expectation value of S²: 2.018. The highest occupied orbital energy (spin up / spin down) is -6.722 / -7.872 eV.



Entry 2:
C30H29BiN6OP as an isolated structure, computed with ωB97M-V/def2-TZVPD.

```
68
Properties=species:S:1:pos:R:3:forces:R:3
Bi 0.71064 -0.61770 -0.03099 0.12 -0.10 0.01
N 4.04085 2.63307 -0.15714 0.11 0.12 0.02
C 3.72363 1.44922 -0.67718 -0.06 0.08 -0.08
-- stop --
Reply:
Its spin multiplicity is 3. As for the LUMO energy (spin up / spin down): -0.30 / -0.60 eV. For the energy above the lowest of the compared OMol25 structures with the same formula, charge and spin, the calculation gives 0.0 kcal per mole. Its net charge is 0. As for the expectation value of S²: 2.018. The highest occupied orbital energy (spin up / spin down) is -6.722 / -7.872 eV.